Human consciousness
"We've reached a point that means we can no longer go on as we are doing!

<<<
Theoretical PXRD pattern
Compound: CeNiAs2O8
Radiation: Cu Kα (λ = 1.5418 Å)
Structure: a crystal structure in Alexandria, relaxed with PBE+U

The 12 most intense peaks (2θ = 10–90°), by angle:
d (Å)	I_rel
4.891	48
3.818	100
2.824	97
2.591	61
2.073	26
1.909	38
1.769	23
1.630	18
1.581	28
1.458	18
1.412	18
1.177	17

Atomic structure:
a = 5.6474 Å, b = 5.6474 Å, c = 6.1091 Å
α = 90.00°, β = 90.00°, γ = 120.00°
Space group P-3m1 (No. 164)
Unique sites:
Ce (0.0000, 0.0000, 0.0000) [1 per cell]
Ni (0.0000, 0.0000, 0.5000) [1 per cell]
As (0.3333, 0.6667, 0.6393) [2 per cell]
O (0.1658, 0.3315, 0.7433) [6 per cell]
O (0.3333, 0.6667, 0.3696) [2 per cell]

=====

[1]
Theoretical XRD peak list
Compound: Ho4Co
Radiation: copper Kα
Structure: DFT lattice parameters and positions (PBE)
Lines closer than 0.1° are merged.

Most intense lines, 2θ from 10° to 80°, in order of rising 2θ:
two_theta	intensity
29.39	1000
34.07	406
37.23	82
44.73	95
48.94	412
58.12	389
60.98	90
63.06	43
68.46	42
71.72	58
73.66	45
79.35	139

a b c (Å): 7.444 7.444 7.444
angles (deg): 60.00 60.00 60.00
Sites, in units of the cell vectors:
Ho1 0.220 0.760 0.760
Ho2 0.240 0.240 0.240
Ho3 0.240 0.240 0.780
Ho4 0.240 0.780 0.240
Ho5 0.760 0.220 0.760
Ho6 0.760 0.760 0.220
Ho7 0.760 0.760 0.760
Ho8 0.780 0.240 0.240
Co1 0.375 0.375 0.375
Co2 0.625 0.625 0.625

[2]
Theoretical XRD peak list
Compound: Ho2Co17
Radiation: copper Kα
Structure: DFT lattice parameters and positions (PBE)
Lines closer than 0.1° are merged.

Most intense lines, 2θ from 10° to 80°, in order of rising 2θ:
two_theta	intensity
30.92	424
34.92	118
37.63	410
41.95	404
43.73	631
44.02	1000
44.86	314
47.59	156
49.47	174
63.79	176
64.44	169
72.36	148

a b c (Å): 8.280 8.280 8.082
angles (deg): 90.00 90.00 120.00
Sites, in units of the cell vectors:
Ho1 0.000 0.000 0.250
Ho2 0.000 0.000 0.750
Ho3 0.333 0.667 0.250
Ho4 0.667 0.333 0.750
Co1 0.000 0.500 0.000
Co2 0.000 0.500 0.500
Co3 0.046 0.374 0.750
Co4 0.046 0.672 0.750
Co5 0.167 0.333 0.022
Co6 0.167 0.333 0.478
Co7 0.167 0.833 0.022
Co8 0.167 0.833 0.478
Co9 0.328 0.374 0.750
Co10 0.328 0.954 0.750
Co11 0.333 0.167 0.522
Co12 0.333 0.167 0.978
Co13 0.333 0.667 0.606
Co14 0.333 0.667 0.894
Co15 0.374 0.046 0.250
Co16 0.374 0.328 0.250
Co17 0.500 0.000 0.000
Co18 0.500 0.000 0.500
Co19 0.500 0.500 0.000
Co20 0.500 0.500 0.500
Co21 0.626 0.672 0.750
Co22 0.626 0.954 0.750
Co23 0.667 0.333 0.106
Co24 0.667 0.333 0.394
Co25 0.667 0.833 0.022
Co26 0.667 0.833 0.478
Co27 0.672 0.046 0.250
Co28 0.672 0.626 0.250
Co29 0.833 0.167 0.522
Co30 0.833 0.167 0.978
Co31 0.833 0.667 0.522
Co32 0.833 0.667 0.978
Co33 0.954 0.328 0.250
Co34 0.954 0.626 0.250

[3]
Theoretical XRD peak list
Compound: HoCo3
Radiation: copper Kα
Structure: DFT lattice parameters and positions (PBE)
Lines closer than 0.1° are merged.

Most intense lines, 2θ from 10° to 80°, in order of rising 2θ:
two_theta	intensity
21.02	119
33.19	482
36.24	917
42.28	357
42.78	1000
44.77	191
46.23	221
63.28	149
65.20	244
>>>
-- So much for the crystal structures --

Everyone's talking about crisis and it's slightly paradoxical because I've always been hearing about a crisis ever since 1968 when there was a cultural crisis, then in 1972, with the publication of the work by The Club of Rome, there was talk of an ecological crisis, then there was the neoliberal counter-revolution and the social crisis with Margaret Thatcher and Reagan, and now there's the financial crisis and the economic crisis after the collapse of Lehmann Brothers.

Finally, all these crises are getting mixed up and we're seeing a crisis of civilisation, an anthropological crisis. At this point, the system can no longer be reformed - we have to exit from this paradigm - and what is it? It's the paradigm of a growth society. Our society has been slowly absorbed by an economy based on growth, not growth to satisfy needs - and that would be a good thing - but growth for the sake of growth and this naturally leads to the destruction of the planet because infinite growth is incompatible with a finite planet.

We need a real reflection when we talk about an anthropological crisis. We need to take this seriously because we need a decolonisation of the imagination. Our imagination has been colonised by the economy. Everything has become economics. This is specific to the West and it's fairly new in our history. It was in the seventeenth century when there was a great ethical switch with the theory expounded by Bernard Mandeville. Before, people said that altruism was good and then: "no, we have to be egoists, we have to make as much profit as possible; greed is good". Yes - to destroy our "oikos" (our home) more quickly. And we have actually got to that point.

## Materials data from another source follow
=====
# 1
For ScCu2Re, a cell relaxed with GGA-PBE gives the calculated powder diffraction line list in this record (Cu Kα X-rays).

Main lines, most intense first (10 to 90 degrees two-theta):
d (Å), 2θ (°), I_rel, hkl
2.273, 39.65, 100, 1 1 0
2.229, 40.48, 92, 0 1 2
5.515, 16.07, 84, 0 0 1
1.984, 45.72, 32, 1 0 -2
1.974, 45.97, 31, 1 0 2
1.892, 48.08, 28, 0 2 0
3.120, 28.61, 25, 0 1 1
1.369, 68.52, 18, 1 2 -2
1.366, 68.71, 18, 1 2 2
2.098, 43.11, 15, 1 1 1

Structural model:
abc: 2.843 3.785 5.515
angles: 90.00 90.30 90.00
Space group P2/m (No. 10)
Asymmetric unit:
Sc: 0.000 0.000 0.000 x1
Cu: 0.499 0.500 0.728 x2
Re: 0.000 0.000 0.500 x1

***

# 2
For Hf6GaOs, a cell relaxed with GGA-PBE gives the calculated powder diffraction line list in this record (Cu Kα X-rays).

Main lines, most intense first (10 to 90 degrees two-theta):
d (Å), 2θ (°), I_rel, hkl
2.339, 38.50, 100, 1 3 1
2.637, 34.00, 94, 2 0 -2
2.934, 30.47, 55, 1 3 -1
2.648, 33.85, 47, 0 4 0
1.757, 52.05, 43, 1 3 -3
1.742, 52.53, 41, 3 3 -1
2.700, 33.19, 36, 0 0 2
2.673, 33.53, 36, 2 0 0
1.868, 48.74, 33, 2 4 -2
2.994, 29.84, 26, 1 1 1

Structural model:
abc: 6.097 10.593 6.159
angles: 90.00 118.76 90.00
Space group C2/m (No. 12)
Asymmetric unit:
Hf: 0.249 0.205 0.247 x8
Hf: 0.250 0.000 0.754 x4
Ga: 0.000 0.500 0.500 x2
Os: 0.000 0.000 0.000 x2

***

# 3
For Cd2Ga2HgI6, a cell relaxed with GGA-PBE gives the calculated powder diffraction line list in this record (Cu Kα X-rays).

Main lines, most intense first (10 to 90 degrees two-theta):
d (Å), 2θ (°), I_rel, hkl
3.700, 24.05, 100, -1 1 2
2.873, 31.13, 58, 2 1 2
3.560, 25.01, 28, 0 2 0
2.444, 36.77, 23, 1 -1 2
4.337, 20.48, 19, 0 1 2
2.432, 36.97, 19, 3 2 0
2.484, 36.16, 18, 1 0 -3
3.724, 23.89, 18, 2 0 0
2.789, 32.09, 18, 1 3 2
3.315, 26.89, 17, 1 -1 1

Structural model:
abc: 7.860 8.581 8.681
angles: 61.12 88.71 73.16
Space group P-1 (No. 2)
Asymmetric unit:
Cd: 0.137 0.272 0.497 x2
Ga: 0.252 0.304 0.943 x2
Hg: 0.500 0.500 0.000 x1
I: 0.012 0.773 0.761 x2
I: 0.118 0.670 0.275 x2
I: 0.462 0.087 0.718 x2

***

# 4
For Zn2HOsO6, a cell relaxed with GGA-PBE gives the calculated powder diffraction line list in this record (Cu Kα X-rays).

Main lines, most intense first (10 to 90 degrees two-theta):
d (Å), 2θ (°), I_rel, hkl
2.695, 33.24, 100, 1 1 2
4.109, 21.63, 91, 1 0 1
1.685, 54.44, 27, 2 0 4
1.970, 46.09, 25, 2 1 1
2.712, 33.03, 24, 1 0 3
1.367, 68.63, 23, 3 1 2
1.729, 52.96, 20, 2 1 3
2.553, 35.16, 18, 0 0 4
2.244, 40.18, 17, 2 0 0
1.500, 61.86, 17, 1 1 6

Structural model:
abc: 4.488 4.488 10.211
angles: 90.00 90.00 90.00
=====

We can see this with Climate Change, with the loss of biodiversity, with the pollution of our air, water, and soil. We've reached a point that means we can no longer go on as we are doing! We either change direction, or it will be the end of humanity.

So the project is to exit from the growth society, exit from the consumer society, exit from the economy and find once more the social or better still, the societal. This revolution is primarily a cultural revolution, but it's not a quick fix, it's a long process that takes time.

When I started organising conferences on degrowth, I thought it was necessary to change direction before the collapse, but now I'm getting more of a pessimist. I think that we won't avoid the collapse. We need to make preparations for the time after the collapse. And let's hope it's not a total collapse and that there is a possibility for humanity to have a future, to invent a new future."

Passaparola by Serge Latouche, French economist and philosopher. Serge Latouche is one of the regular contributors to the journal Revue du MAUSS, he's president of the association "La ligne d'horizon", he's emeritus professor of economics at the University of Paris-Sud and at the The Institute of Economic and Social Development studies (IEDES) in Paris.